
Isn't it illegal for even fairies to kill people in modern society?

But, maybe it's a unilateral killing.

Concerning the social and public safety policies, Jiang Qiao felt that it was necessary for her to realize that this was Earth, not the planet she came from, that there was no enemy, and no one instructed him to take her down.

Jiang Qiao eventually described the current scenario to the lovely fairy in front of him after a succession of oaths, self-evidence, and everything that was stated.

"You mean, it's not a poisonous incense and that it's not intentional murder, but a product called 'cigarette'? All the mortals here rely on this to relax their minds?"

Jiang Qiao swiftly nodded his head.

"Such weirdness."

Bai Yueling really couldn't understand, this cigarette is pungent and foul-smelling, containing toxins, and hurts the foundation, moreover, its named "cigarettes", and it would cost spirit stones to buy it.

She began to wonder if the mortals in this world were all fools, or why, even though they knew it was harmful, they still often took it and became addicted.

"I've said everything that I should say, so, Bai... Fairy Bai, can you let me go now?" Jiang Qiao looked at her anxiously.

Bai Yueling nodded, and gently lifted up the knife hanging from Jiang Qiao's neck and in response, he let out a long relieving breath.

After being threatened by hell itself, he broke out in a cold sweat and then guided her to the bathroom where the source of the problem started.

"There is no water in the bathroom, how do you mortals take a bath?" Bai Yueling frowned as she looked at the empty and clean bathroom.

Hearing her indifferent tone, Jiang Qiao looked around nervously then at the fairy who seemed to not know anything yet acted like the owner of this house.

"Uhm, modern society is different from the world you live in. Although there are no immortal cultivation methods, there are more convenient measures at which we call it science."

In response, Bai Yueling's always indifferent expression finally changed a little.

He then pointed at the moderate size nob, explaining, "This thing is called a faucet handle, it can be used as soon as you turn it and it will stop if you repeat the same motion."

Seeing her curious face, Jiang Qiao felt an indescribable sense of pride in his heart.

"As for the main principle, it's hard to explain it to you right now, but you just need to know that there are ten degrees of scald on the left and ten degrees of frostbite on the right. The specific temperature varies from person to person and can be adjusted by yourself."

Jiang Qiao turned on the water and looked up at her: "See, it's easy to understand, I hope?"

Soon after, he turned it off again.

Bai Yueling nodded, the movement operation was not difficult to understand.

More so, her eyes contained admiration, this world seemed to be much more interesting than she had initially imagined.

"Ordinary people in this world do not rely on supernatural powers and spells, and also do not need mantras and chants, but by pure ingenuity, they can transport water sources from thousands of miles away for the livelihood of the people, which is truly remarkable."

Jiang Qiao smiled proudly: "This is the power of science, and you will see more in the future."

"I don't know what Fairy Bai usually uses to take a bath to remove filth, perhaps soap?."

Bai Yueling glanced at him, replying faintly, "This celestial body cannot be tainted by dust or dirt and if necessary, I only take a bath in the hot spring."

Jiang Qiao tried explaining the use of a soap bar, "This thing is called shampoo, it can remove oil, dirt, dead skin, dandruff, itching, and other dead materials. This thing is a conditioner, which can effectively protect the hair from dry, yellow, dull, and split ends, but men generally don't use it."

After explaining, he glanced at Bai Yueling's hair, although it was condensed into strands of hemp rope by the rain, it was black and shiny as a lead wire.

"This here is shampoo conditioner. It's similar to shampoo, but it's used to wash the body. It's a face wash."

Jiang Qiao continued babbling on and on, until he glanced at the toilet, and hesitated.

How do I explain this?

Pondering for a bit, he added, "This is a toilet, it's used for convenience, going to the toilet, doing what you need to do, and moving your hands, in short..." (T/L: Moving hands: Masturbation)

Before he could finish speaking, Bai Yueling flicked his sleeves, and there was a rare trace of embarrassment on her always indifferent cheeks.

"This body has gone ages without eating and my foundation does not require food so naturally I don't need it!"

"Yes, yes..."

Jiang Qiao closed the bathroom door with embarrassment and backed out, looking at the extinguished Hua Zi on the living room floor, subconsciously wiping his dripping cold sweat.

Tremblingly, he then took out a cigarette from his pocket, and was about to light it to calm down.

However, as soon as he thought of the scene just now, he let it go.

In case of another misunderstanding, the knife would once more be near his throat, he cannot bear such shock.


Meanwhile, Bai Yueling stared blankly at the cramped, closed space in front of her. She came to Earth from Ziweixing, but she couldn't feel the world rules and spiritual energy, but it was filled with something called "science".

For example, the connecting bathroom faucet which delivered water, the electric light above her head and according to what the mortal outside said, human beings have been able to develop to this point precisely because they believe in science.

This sounds like the kind of bizarre visions that she had in her mind when she was transcending to Earth. Even as a fairy emperor, she was still a little dazed when she experienced it in person.

<<<
Formula: C2H3I2NO
Source: OMol25
Level of theory: the ωB97M-V functional and the def2-TZVPD basis

Last column: Löwdin charge in e.
Element x y z (Å)
C -0.178 1.695 0.654  0.01
C 0.711 -0.519 -1.668  -0.06
N -0.190 0.703 0.055  -0.14
O -0.228 -0.441 -0.613  -0.13
I -2.436 1.020 3.831  0.02
I -0.498 -0.779 3.560  0.01
H 0.533 0.263 -2.414  0.10
H 0.549 -1.500 -2.112  0.10
H 1.736 -0.442 -1.293  0.10

Its total charge is 0. The calculation puts the energy relative to the best compared isomer or geometry (same formula, charge and spin) at 3.3892 eV. The LUMO energy comes out at -1.506 eV.
>>>

Perhaps, this is also one of the hardships she needs to go through to set foot on the Supreme Dao.

After thinking about it clearly, Bai Yueling's Dao Heart was unprecedentedly pure.

She took a deep breath, lifted the veil slightly, and removed her Taoist robe, exposing her white jade skin to the air; it's too smooth and lovely to be genuine.

Bai Yueling recalled the operation from the mortal man, and turned on the shower, the water flow was hot and cold, sprayed from the shower head, squeezed some so-called shampoo, spread it in her hand, it foamed, and finally put it on her head.

Outside the bathroom, Jiang Qiao listened to the water heater in the bathroom constantly turning on and off, the sound of water rushing from time to time, and couldn't help thinking: 'The fairy is so curious because she has never seen it before.'

'By the way, what is the scene of a fairy taking a bath?.'

Jiang Qiao glanced at the bathroom door, and didn't seem to have taught her how to lock the door just now.

If he went to open the door now, would he be able to see the fragrant scene of her showering?

Impeccable facial features, fair skin covered with water droplets and good posture.

He can't think about it now or else there'll be a picture forming in his mind. However, once he opens the door, and she's looking at him, he'll definitely die miserably.

Sitting on the sofa, Jiang Qiao shook his head vigorously, took out his mobile phone and typed 110, hesitating whether or not to hand over this fairy who came from crossing over to this world, so that at least he wouldn't be passively threatened.

If she gets arrested, she'll be locked in a special cell, or sliced ​​by scientists to study the mystery of cultivation, which will open the era to cultivation for all of humanity.

If she recovers her boundless mana, who knows if she'll destroy the entire earth.

Perhaps, he can simply observe her temporarily.

After all, the fairy is not a big shot who kills without blinking an eye.

If you can communicate in depth with one another, perhaps she'll be nice enough to share the secret of cultivation to him.

While Jiang Qiao was thinking wildly, the bathroom door suddenly opened.